I was a fool.
And now I have to confess my sins if I want a chance at a future with her. I've never been more nervous in my life.
Giggling penetrates my thoughts again. I owe Gio for some of her healing. He's been a great distraction for her.
And that's the rub.
I want to be the one bringing a smile to her face, not Gio. I'm thrilled he can make her laugh, but it's distracting as hell and my emotions war between relief and jealousy. It means Kylie's trauma isn't as bad as I feared, but there's still work to be done to get her back to herself. The nightmares at night are a concern, which is why her laughter—especially after last night's nightmare—gives me hope shewillrecover.
To help her along, I've found a therapist who specializes in kidnap victims. It took some convincing, but Kylie agreed to go when I pointed out she hadn't gone one night without waking in a panic and shaking.
I glare toward the living room when Gio barks out a laugh at whatever Kylie said.
I'm tempted to hand things off to Rafael, but I've planned a trip to Tahiti as a graduation present for Kylie and need to get the business in order before we leave.
I run a hand through my hair in agitation when a chuckle has my glare swinging toward Rafael.
"Your jealousy is showing, boss." Rafael smirks as he shuffles the papers on the desk.
"Stop calling me boss. I told you that's not necessary. And I'm not jealous of Gio—"
Rafael snorts.
"I'm not. It bothers me that I can't be there for her." I wave my hand toward the living room. "If I wasn't planning on taking her on this trip, I would be the one on the couch with her right now." I throw the resumes Tim sent me for the club down and lean back in my chair.
"It's not like you aren't with her every night." Rafael shakes his head. "I never expected this day would come."
"What are you talking about?" I snatch my glass as I contemplate Rafael's expression.
"You've been weird about the girl since you laid eyes on her. You're …" He looks toward the ceiling, searching for the right word. "fascinated with her. I've never seen you like this with anyone else."
It's true, I am fascinated. Almost to the point of obsession. It’s an emotion I've been battling since the beginning.
"Don't forget, I was there when you first saw her. Looked like you took a punch to the gut." Rafael leans back in his chair.
"So." I shrug. "The moment I saw her, I wanted her."
"I assumed that's all it was, even when you lingered in the car, watching her. I wonder how long you would've sat there if she hadn’t turned to leave." He raises his eyebrow at me.
"I enjoy looking at her." The right side of my mouth tips up.
"Yeah, I can tell since you can't stop looking at her whenever she's in the room." He shakes his head. "It's more than that though, isn't it? You still look at her like you want to devour her, but your eyes," he waves his hand at me, "they go all soft now." He looks down at the desk, brows furrowed. "I never thought I'd see the day that the great Luca Morelli would fall for a woman. And not just any woman. My first impression of her hasn't changed. She's as sweet and innocent as they come."
My smile grows the longer Rafael looks baffled. Kylie's been breaking through his hard exterior piece by piece and worming her way in. Knowing he’s not ready to be teased about it yet, I rest my arms on the desk and change the subject.
“Have you thought of a name for your company yet? I want to order the signage for your floor as soon as you decide.”
I finally had a talk with Rafael and Gio about becoming partners. Rafael’s partnership will focus on opening his own security and investigation firm. I've given him a floor in our building for his headquarters. He agreed to focus on ourbusiness with the option to expand to other customers when he feels his company is ready. He's already hired the men who helped investigate the mole.
Rafael rubs his chin as he stares down in thought. “I’m considering keeping it simple. RSI for Rafe Securities and Investigations.”
“I like it. You’ll need a logo.” I tap the desk with my pen as I contemplate a few ideas. “You could do a shield with the RSI chiseled into it.”
[Molecular data that have nothing to do with the article]
'''
DFT (the ωB97M-V functional and the def2-TZVPD basis) results for 3 unconnected molecules or ions with the total composition C39H69N2O10 at a distorted geometry.

Geometry as XYZ:
```
120
Properties=species:S:1:pos:R:3:forces:R:3:mulliken_charge:R:1
C -9.2638 -2.3263 -6.6581 -0.5 0.4 -0.3 -0.83
C -9.3881 -0.8459 -5.9212 0.1 0.1 0.3 -0.31
C -8.2154 -0.6098 -4.7567 -1.8 -1.9 -0.2 -0.48
O -7.8729 0.8176 -4.6628 5.0 -1.1 -0.2 -0.24
C -6.4235 1.0419 -4.5475 1.0 3.9 2.3 0.18
C -5.9058 2.3882 -3.7293 1.6 -5.9 -3.7 -0.31
N -4.3899 2.2679 -3.8800 -2.7 -3.2 -1.7 0.34
C -3.5947 3.3934 -3.2536 0.6 1.1 1.0 -0.66
C -2.3542 2.8967 -2.3031 1.2 0.1 -0.7 -0.03
O -1.9619 3.9064 -1.2649 0.8 -1.5 -2.2 -0.44
C -0.4907 3.8689 -1.2866 1.6 0.0 1.0 0.44
C 0.2224 4.6077 0.0167 -1.3 -0.6 0.0 -0.67
O 1.6741 4.2345 -0.0720 -2.1 -2.3 3.0 -0.39
C 1.8003 3.1898 0.9931 1.3 -2.1 3.2 0.22
C 1.4521 1.5991 0.7901 0.9 0.9 2.9 -0.19
C 1.5682 0.4842 2.0267 1.0 4.7 0.3 -0.22
C 2.0718 0.9846 3.5320 -1.0 2.1 -3.1 -0.07
C 2.1289 -0.1378 4.7689 1.3 -0.1 -0.8 1.82
C 3.7059 -0.6976 4.7366 -0.2 1.1 -1.1 -1.24
C 1.1965 -1.4407 4.4250 0.5 -0.5 0.5 -1.49
C 1.9210 0.5079 6.2551 -0.1 -0.7 0.0 -1.29
C 0.3782 0.7819 6.7136 -0.8 1.1 1.2 1.24
C 0.4619 1.9166 7.9408 0.3 -0.6 0.4 -1.00
C -0.5967 1.4392 5.5731 0.9 1.2 -0.2 -1.22
C -0.4090 -0.5021 7.3591 -1.0 0.0 0.1 -1.21
C 2.4399 2.5730 3.6965 -1.2 -1.1 -3.2 -0.24
C 2.3314 3.6819 2.4729 -1.0 -4.1 -0.2 -0.43
C -3.9472 1.0437 -4.6671 -3.2 1.7 1.1 -0.34
C -2.4130 0.6213 -5.0604 -1.0 -0.6 -0.4 -0.29
C -1.5677 -0.1156 -3.8628 1.4 0.1 0.3 -0.04
C -0.4363 -1.1721 -4.4925 0.1 0.3 1.2 -0.75
C 0.6068 -0.4570 -5.5389 -0.4 0.1 -0.4 -0.26
C 2.1292 -0.2456 -4.9350 -0.1 0.8 -1.1 -0.50
C 3.1849 -1.0214 -5.9256 1.1 0.7 0.1 -0.37
O 3.7642 -2.2360 -5.3309 -2.1 0.1 -0.2 -0.39
C 2.6980 -3.1058 -4.7576 0.1 0.5 0.9 -0.45
N -5.2248 0.2866 -5.0779 -0.1 4.5 2.8 -0.12
H -8.4200 -2.9723 -6.1474 -1.9 1.1 -1.1 0.28
H -10.3225 -2.8714 -6.6360 2.5 1.0 0.1 0.25
H -9.0125 -2.1514 -7.8091 -0.4 -0.5 2.6 0.23
H -10.4253 -0.7245 -5.3425 2.3 -0.2 -1.6 0.29
H -9.2890 -0.0409 -6.7785 -0.2 -1.4 2.1 0.27
H -7.3184 -1.3217 -4.9959 -1.4 1.6 0.5 0.24
H -8.6837 -0.9319 -3.7084 1.2 0.7 -2.2 0.21
H -6.5011 3.2374 -3.1890 1.5 -2.0 -1.2 0.34
H -3.2303 4.1134 -4.1122 -0.6 -1.5 1.8 0.17
H -4.3460 3.9838 -2.5501 1.6 -1.3 -1.7 0.29
H -1.4034 2.8135 -3.0127 -2.2 -0.1 1.3 0.20
H -2.5232 1.8544 -1.7790 0.0 2.1 -1.1 0.32
H -0.1592 2.7249 -1.2177 -0.5 2.5 -0.2 -0.29
H -0.0375 4.3843 -2.2537 -1.1 -1.2 1.8 0.24
H 0.0617 5.7663 0.0479 0.6 -2.2 -0.4 0.32
H -0.2143 4.1531 1.0192 0.7 1.0 -2.2 0.34
H 1.0950 1.1974 -0.2724 0.9 1.1 2.6 0.03
H 1.2757 -0.6173 1.7535 0.7 2.4 0.8 0.16
H 4.3459 0.0388 5.3885 -1.1 -1.7 -1.1 0.32
H 4.0760 -0.5380 3.6132 -0.7 -0.7 2.5 0.32
H 3.7938 -1.8258 5.0414 -0.2 2.3 -0.4 0.32
H 1.2668 -2.1677 5.3589 -0.2 1.5 -1.9 0.37
H 1.6662 -2.0553 3.5171 -1.1 1.5 1.9 0.43
H 0.0659 -1.2112 4.2311 2.2 -0.3 0.3 0.18
H 2.5973 1.4770 6.3273 -1.6 -1.9 -0.2 0.31
H 2.3924 -0.2577 7.0405 -1.0 1.5 -1.7 0.22
'''
[The molecular data stop here]
Rafael tilts his head at me. “I like that. Do you think Sally in marketing can create something for me?”
**Data records, as found in the file:**
-- begin --
No. 1
DFT (the ωB97M-V functional and the def2-TZVPD basis) results for a single C15H25N5O3 molecule.

Structure (XYZ):
```
48
Properties=species:S:1:pos:R:3:forces:R:3
C 4.183 -0.310 3.754 -0.286 0.117 -0.338
C 3.376 0.460 2.720 0.272 0.187 0.260
O 2.556 -0.470 2.041 -0.150 -0.158 -0.117
C 1.731 -0.027 1.051 -0.190 0.005 -0.189
C 1.621 1.300 0.653 0.227 -0.023 0.253
C 0.744 1.658 -0.357 -0.058 -0.143 -0.123
C -0.039 0.707 -0.991 0.158 0.087 -0.153
C 0.078 -0.619 -0.590 0.119 0.202 0.080
C 0.953 -1.002 0.410 0.121 0.042 0.227
C 1.053 -2.446 0.824 0.027 -0.100 0.015
N 0.788 -3.345 -0.287 -0.023 0.021 0.101
C 1.866 -3.313 -1.253 -0.054 0.011 -0.041
H 2.023 -2.287 -1.582 0.077 0.000 -0.085
H 2.813 -3.697 -0.840 0.021 -0.003 0.022
H 1.592 -3.920 -2.115 0.057 -0.006 -0.063
C 0.538 -4.696 0.167 -0.046 0.046 -0.008
H -0.322 -4.699 0.836 -0.018 -0.065 0.039
H 0.309 -5.321 -0.695 -0.008 -0.080 0.017
H 1.398 -5.136 0.698 0.021 -0.015 0.009
H 2.045 -2.624 1.274 -0.120 -0.071 -0.010
H 0.304 -2.636 1.600 0.098 -0.048 0.021
H -0.510 -1.388 -1.069 -0.069 -0.145 -0.092
C -1.054 1.101 -2.026 0.021 -0.080 0.155
H -0.818 2.086 -2.432 -0.025 -0.049 -0.038
H -1.071 0.378 -2.843 -0.027 0.062 -0.043
C -2.461 1.146 -1.384 -0.023 0.134 -0.212
C -3.496 1.532 -2.439 0.105 0.030 0.088
O -4.253 0.717 -2.935 -0.096 -0.228 -0.041
N -3.454 2.824 -2.813 -0.020 0.533 -0.250
H -3.035 3.498 -2.173 -0.185 -0.286 -0.053
N -4.448 3.348 -3.669 -0.070 -0.068 -0.140
H -4.050 3.473 -4.600 -0.075 -0.194 0.263
H -5.178 2.637 -3.744 0.228 0.136 0.023
C -2.412 2.117 -0.222 -0.239 -0.352 0.338
O -2.447 3.333 -0.341 0.204 0.309 -0.024
N -2.296 1.533 0.986 -0.189 -0.041 0.501
H -2.082 0.550 1.075 0.090 0.195 -0.167
N -2.036 2.293 2.145 -0.023 0.087 -0.001
H -2.910 2.451 2.648 0.165 0.001 -0.299
H -1.702 3.205 1.830 -0.080 -0.231 0.027
H -2.720 0.144 -1.030 -0.038 0.120 -0.066
H 0.670 2.696 -0.647 -0.022 0.129 -0.042
H 2.212 2.068 1.124 0.074 0.047 0.072
H 4.049 0.961 2.010 -0.138 -0.015 0.050
H 2.755 1.220 3.214 0.054 -0.049 -0.125
H 4.826 0.372 4.304 0.074 0.054 0.071
H 4.796 -1.061 3.264 0.089 -0.065 -0.014
H 3.514 -0.809 4.450 -0.030 -0.040 0.102
```
Positions in Å, forces in eV/Å.

As for the energy above the lowest of the compared OMol25 structures with the same formula, charge and spin: 2.495 eV. As for the frontier orbital gap: 9.2 eV. The calculated total energy comes out at -29553.08806 eV. Its structure (SMILES) is CCOc1ccc(CC(C(=O)NN)C(=O)NN)cc1CN(C)C. Its HOMO energy is -0.311 Ha.

***

No. 2
DFT (the ωB97M-V functional and the def2-TZVPD basis) results for a molecular structure, C15H25N5O5Sr in a non-equilibrium geometry.

Structure (XYZ):
```
51
Properties=species:S:1:pos:R:3:forces:R:3
O 3.048 -0.291 0.875 -0.659 1.778 1.540
H 3.027 -0.984 1.570 0.217 0.006 -1.140
Sr 0.740 0.834 0.366 0.157 -1.391 -0.256
N 0.045 1.215 -2.392 -0.717 -0.978 -2.365
N -0.854 -0.613 -1.042 -1.320 -1.116 -1.756
O 0.683 2.110 -3.077 0.190 0.219 0.591
O -1.255 -1.734 -0.300 -0.819 -0.259 0.483
-- stop --
I snort. “Are you kidding? She'll do anything you ask of her.”